- - -
Here is a relaxed Pr5NdTe6 crystal from Alexandria via LeMat-Bulk. Energies are from PBE. Values from VASP.

Energy, eV/atom: -5.40
Total magnetic moment, μB per formula unit: 0.00
Space-group type: C2/m, No. 12
E_form (uncorrected), eV per atom: -1.439

```
&SYSTEM
  ibrav = 0, nat = 12, ntyp = 3
/
ATOMIC_SPECIES
Te 127.60 Te.upf
Pr 140.91 Pr.upf
Nd 144.24 Nd.upf
CELL_PARAMETERS angstrom
-2.583 7.107 2.019
-2.665 -0.160 7.364
4.881 1.529 5.965
ATOMIC_POSITIONS crystal
Te 0.751 0.083 0.331
Te 0.750 0.752 0.000
Te 0.751 0.414 0.669
Te 0.250 0.248 0.000
Te 0.249 0.586 0.331
Te 0.249 0.917 0.669
Pr 0.500 0.500 0.000
Pr 0.500 0.168 0.664
Pr 0.500 0.832 0.336
Pr 0.000 0.667 0.666
Pr 0.000 0.333 0.334
Nd 0.000 0.000 0.000
```

***

Here is a relaxed Pr5NdTe4 crystal from Alexandria via LeMat-Bulk. Energies are from PBE. Values from VASP.

Energy, eV/atom: -5.15
Total magnetic moment, μB per formula unit: 0.00
Space-group type: C2/m, No. 12
E_form (uncorrected), eV per atom: -1.023

```
&SYSTEM
  ibrav = 0, nat = 10, ntyp = 3
/
ATOMIC_SPECIES
Te 127.60 Te.upf
Pr 140.91 Pr.upf
Nd 144.24 Nd.upf
CELL_PARAMETERS angstrom
-3.827 -0.091 2.157
1.468 -8.358 2.251
5.857 4.836 6.122
ATOMIC_POSITIONS crystal
Te 0.332 0.922 0.665
Te 0.990 0.746 0.981
Te 0.668 0.078 0.335
Te 0.010 0.254 0.019
Pr 0.817 0.647 0.634
Pr 0.500 0.500 0.000
Pr 0.164 0.812 0.328
Pr 0.836 0.188 0.672
Pr 0.183 0.353 0.366
Nd 0.500 0.000 0.000
```

***

Here is a relaxed Pr2NdTe crystal from Alexandria via LeMat-Bulk. Energies are from PBE. Values from VASP.

Energy above the most stable polymorph in this dataset, eV per formula unit: 0.39
Energy, eV/atom: -4.96
Total magnetic moment, μB per formula unit: 0.00
Space-group type: P4/mmm, No. 123
E_form (uncorrected), eV per atom: -0.595

```
&SYSTEM
  ibrav = 0, nat = 4, ntyp = 3
/
ATOMIC_SPECIES
Te 127.60 Te.upf
Pr 140.91 Pr.upf
Nd 144.24 Nd.upf
CELL_PARAMETERS angstrom
-0.149 -3.009 -2.639
1.443 -2.504 2.773
-7.635 -1.734 2.407
ATOMIC_POSITIONS crystal
Te 0.500 0.500 0.500
Pr 0.000 0.000 0.281
Pr 0.000 0.000 0.719
Nd 0.500 0.500 0.000
```

***

Here is a relaxed Pr3NdTe crystal from Alexandria via LeMat-Bulk. Energies are from PBE. Values from VASP.

Energy, eV/atom: -4.87
Total magnetic moment, μB per formula unit: 0.00
Space-group type: P2_1/c, No. 14
E_form (uncorrected), eV per atom: -0.423

```
&SYSTEM
  ibrav = 0, nat = 20, ntyp = 3
/
ATOMIC_SPECIES
Nd 144.24 Nd.upf
Pr 140.91 Pr.upf
Te 127.60 Te.upf
CELL_PARAMETERS angstrom
-1.325 -2.598 -7.780
0.766 -8.571 2.732
-9.715 4.815 0.047
ATOMIC_POSITIONS crystal
Nd 0.965 0.697 0.271
Nd 0.465 0.303 0.229
Nd 0.535 0.697 0.771
Nd 0.035 0.303 0.729
Pr 0.456 0.254 0.600
Pr 0.693 0.450 0.981
Pr 0.307 0.550 0.019
Pr 0.807 0.450 0.481
Pr 0.956 0.746 0.900
Pr 0.544 0.746 0.400
Pr 0.874 0.924 0.679
Pr 0.193 0.550 0.519
Pr 0.126 0.076 0.321
Pr 0.044 0.254 0.100
Pr 0.374 0.076 0.821
Pr 0.626 0.924 0.179
Te 0.210 0.929 0.527
Te 0.710 0.071 0.973
Te 0.790 0.071 0.473
Te 0.290 0.929 0.027
```

***

Here is a relaxed PrNdTe crystal from Alexandria via LeMat-Bulk. Energies are from PBE. Values from VASP.

Energy above the most stable polymorph in this dataset, eV per formula unit: 0.56
Energy, eV/atom: -5.01
Total magnetic moment, μB per formula unit: 0.00
Space-group type: I4mm, No. 107
E_form (uncorrected), eV per atom: -0.783

```
&SYSTEM
  ibrav = 0, nat = 3, ntyp = 3
/
ATOMIC_SPECIES
Te 127.60 Te.upf
Nd 144.24 Nd.upf
Pr 140.91 Pr.upf
CELL_PARAMETERS angstrom
4.027 0.000 0.000
0.000 4.027 0.000
-2.014 -2.014 5.988
ATOMIC_POSITIONS crystal
Te 0.619 0.619 0.238
Nd 0.267 0.267 0.534
Pr 0.964 0.964 0.928
```

***

Here is a relaxed PrNdTe crystal from Alexandria via LeMat-Bulk. Energies are from PBE. Values from VASP.

Energy above the most stable polymorph in this dataset, eV per formula unit: 0.51
Energy, eV/atom: -5.03
Total magnetic moment, μB per formula unit: 0.00
Space-group type: C2/m, No. 12
E_form (uncorrected), eV per atom: -0.798

```
&SYSTEM
  ibrav = 0, nat = 12, ntyp = 3
/
- - -

The reader should restate the lines above unchanged.

Here is a relaxed Pr5NdTe6 crystal from Alexandria via LeMat-Bulk. Energies are from PBE. Values from VASP.

Energy, eV/atom: -5.40
Total magnetic moment, μB per formula unit: 0.00
Space-group type: C2/m, No. 12
E_form (uncorrected), eV per atom: -1.439

```
&SYSTEM
  ibrav = 0, nat = 12, ntyp = 3
/
ATOMIC_SPECIES
Te 127.60 Te.upf
Pr 140.91 Pr.upf
Nd 144.24 Nd.upf
CELL_PARAMETERS angstrom
-2.583 7.107 2.019
-2.665 -0.160 7.364
4.881 1.529 5.965
ATOMIC_POSITIONS crystal
Te 0.751 0.083 0.331
Te 0.750 0.752 0.000
Te 0.751 0.414 0.669
Te 0.250 0.248 0.000
Te 0.249 0.586 0.331
Te 0.249 0.917 0.669
Pr 0.500 0.500 0.000
Pr 0.500 0.168 0.664
Pr 0.500 0.832 0.336
Pr 0.000 0.667 0.666
Pr 0.000 0.333 0.334
Nd 0.000 0.000 0.000
```

***

Here is a relaxed Pr5NdTe4 crystal from Alexandria via LeMat-Bulk. Energies are from PBE. Values from VASP.

Energy, eV/atom: -5.15
Total magnetic moment, μB per formula unit: 0.00
Space-group type: C2/m, No. 12
E_form (uncorrected), eV per atom: -1.023

```
&SYSTEM
  ibrav = 0, nat = 10, ntyp = 3
/
ATOMIC_SPECIES
Te 127.60 Te.upf
Pr 140.91 Pr.upf
Nd 144.24 Nd.upf
CELL_PARAMETERS angstrom
-3.827 -0.091 2.157
1.468 -8.358 2.251
5.857 4.836 6.122
ATOMIC_POSITIONS crystal
Te 0.332 0.922 0.665
Te 0.990 0.746 0.981
Te 0.668 0.078 0.335
Te 0.010 0.254 0.019
Pr 0.817 0.647 0.634
Pr 0.500 0.500 0.000
Pr 0.164 0.812 0.328
Pr 0.836 0.188 0.672
Pr 0.183 0.353 0.366
Nd 0.500 0.000 0.000
```

***

Here is a relaxed Pr2NdTe crystal from Alexandria via LeMat-Bulk. Energies are from PBE. Values from VASP.

Energy above the most stable polymorph in this dataset, eV per formula unit: 0.39
Energy, eV/atom: -4.96
Total magnetic moment, μB per formula unit: 0.00
Space-group type: P4/mmm, No. 123
E_form (uncorrected), eV per atom: -0.595

```
&SYSTEM
  ibrav = 0, nat = 4, ntyp = 3
/
ATOMIC_SPECIES
Te 127.60 Te.upf
Pr 140.91 Pr.upf
Nd 144.24 Nd.upf
CELL_PARAMETERS angstrom
-0.149 -3.009 -2.639
1.443 -2.504 2.773
-7.635 -1.734 2.407
ATOMIC_POSITIONS crystal
Te 0.500 0.500 0.500
Pr 0.000 0.000 0.281
Pr 0.000 0.000 0.719
Nd 0.500 0.500 0.000
```

***

Here is a relaxed Pr3NdTe crystal from Alexandria via LeMat-Bulk. Energies are from PBE. Values from VASP.

Energy, eV/atom: -4.87
Total magnetic moment, μB per formula unit: 0.00
Space-group type: P2_1/c, No. 14
E_form (uncorrected), eV per atom: -0.423

```
&SYSTEM
  ibrav = 0, nat = 20, ntyp = 3
/
ATOMIC_SPECIES
Nd 144.24 Nd.upf
Pr 140.91 Pr.upf
Te 127.60 Te.upf
CELL_PARAMETERS angstrom
-1.325 -2.598 -7.780
0.766 -8.571 2.732
-9.715 4.815 0.047
ATOMIC_POSITIONS crystal
Nd 0.965 0.697 0.271
Nd 0.465 0.303 0.229
Nd 0.535 0.697 0.771
Nd 0.035 0.303 0.729
Pr 0.456 0.254 0.600
Pr 0.693 0.450 0.981
Pr 0.307 0.550 0.019
Pr 0.807 0.450 0.481
Pr 0.956 0.746 0.900
Pr 0.544 0.746 0.400
Pr 0.874 0.924 0.679
Pr 0.193 0.550 0.519
Pr 0.126 0.076 0.321
Pr 0.044 0.254 0.100
Pr 0.374 0.076 0.821
Pr 0.626 0.924 0.179
Te 0.210 0.929 0.527
Te 0.710 0.071 0.973
Te 0.790 0.071 0.473
Te 0.290 0.929 0.027
```

***

Here is a relaxed PrNdTe crystal from Alexandria via LeMat-Bulk. Energies are from PBE. Values from VASP.

Energy above the most stable polymorph in this dataset, eV per formula unit: 0.56
Energy, eV/atom: -5.01
Total magnetic moment, μB per formula unit: 0.00
Space-group type: I4mm, No. 107
E_form (uncorrected), eV per atom: -0.783

```
&SYSTEM
  ibrav = 0, nat = 3, ntyp = 3
/
ATOMIC_SPECIES
Te 127.60 Te.upf
Nd 144.24 Nd.upf
Pr 140.91 Pr.upf
CELL_PARAMETERS angstrom
4.027 0.000 0.000
0.000 4.027 0.000
-2.014 -2.014 5.988
ATOMIC_POSITIONS crystal
Te 0.619 0.619 0.238
Nd 0.267 0.267 0.534
Pr 0.964 0.964 0.928
```

***

Here is a relaxed PrNdTe crystal from Alexandria via LeMat-Bulk. Energies are from PBE. Values from VASP.

Energy above the most stable polymorph in this dataset, eV per formula unit: 0.51
Energy, eV/atom: -5.03
Total magnetic moment, μB per formula unit: 0.00
Space-group type: C2/m, No. 12
E_form (uncorrected), eV per atom: -0.798

```
&SYSTEM
  ibrav = 0, nat = 12, ntyp = 3
/